Activity.
Next, find "7.02680" and "6.66262" in the rows below, and restate these two lines and those between.
Contents.
=====
Record 1
Here is C5H10O in the gas phase in a non-equilibrium geometry from OMol25. Energies are from ωB97M-V/def2-TZVPD.

```
16
C5H10O, DFT ωB97M-V/def2-TZVPD
C 0.47486 1.62856 -0.07962
C 0.30371 0.11223 -0.16270
C -1.07348 -0.43198 -0.62691
O -1.96507 -0.13072 0.48582
C 1.48698 -0.68293 -0.54842
C 1.02511 -0.62798 0.92021
H 1.42016 1.93973 0.62628
H 0.49406 2.10372 -1.04811
H -0.45236 2.08236 0.46822
H -0.85307 -1.51968 -0.72447
H -1.38225 -0.08692 -1.59518
H -2.95805 0.01190 0.03624
H 1.41580 -1.72262 -1.00080
H 2.44407 -0.26652 -0.63213
H 1.64392 0.08770 1.52919
H 0.64519 -1.57128 1.43882
```

Its max |F| is 0.100 Eh/bohr. For the HOMO energy, the calculation gives -9.947 eV. As for the total charge: 0. The value obtained for the LUMO energy is 0.80 eV. For the frontier orbital gap, the calculation gives 10.7512 eV.

=====

Record 2
Here is a molecular structure, C18H28F18KN3O18S6 in a non-equilibrium geometry from OMol25. Energies are from ωB97M-V/def2-TZVPD.

```
92
C18H28F18KN3O18S6, DFT ωB97M-V/def2-TZVPD
K 0.97561 -0.41038 0.05393
C -2.41368 -3.69668 0.32356
F -2.02531 -4.98208 0.37424
F -3.70275 -3.61327 0.10983
F -2.11803 -3.19098 1.51684
S -1.25962 -2.97545 -1.03450
O 0.11885 -3.29771 -0.71444
O -1.79316 -3.60711 -2.22145
N -1.35925 -1.27610 -0.82505
S -2.58444 -0.87959 -1.74104
O -2.29710 -0.88309 -3.15893
O -3.85946 -1.43470 -1.34259
C -2.80711 0.94409 -1.29250
F -2.41397 1.17846 -0.02983
F -2.05454 1.69957 -2.10213
F -4.06632 1.40895 -1.40741
C 4.77577 3.57992 -0.35933
F 5.68836 3.28192 0.54336
F 5.00409 4.80176 -0.83676
F 4.80822 2.73801 -1.37213
S 3.09166 3.57170 0.50505
O 2.82035 2.18528 0.80907
O 3.22515 4.46446 1.63450
N 2.15302 4.22126 -0.72257
S 0.75833 3.77892 -0.38791
O 0.45773 2.37139 -0.53326
O 0.16640 4.38790 0.79052
C -0.28020 4.62927 -1.75127
F -0.07726 4.11588 -2.97810
F -1.56688 4.53210 -1.48317
F 0.10364 5.91009 -1.78893
C 1.73454 -4.14531 2.89502
F 0.85823 -4.42989 1.94306
F 1.38082 -4.69448 4.06512
F 2.90253 -4.67204 2.53287
S 1.83956 -2.26201 3.13597
O 0.49658 -1.75198 3.02651
O 2.44961 -1.98330 4.42380
N 2.64514 -1.84923 1.69782
S 4.02174 -1.17436 2.16933
O 3.81407 0.05659 2.89292
O 4.94916 -2.15144 2.66992
C 4.77760 -0.63859 0.50319
F 5.42093 -1.62344 -0.11050
F 3.78237 -0.27798 -0.33179
F 5.59507 0.37271 0.72178
C 0.70083 1.59294 -6.82662
O 0.81408 0.69538 -5.71188
C 1.03310 1.42206 -4.48586
C 0.86270 0.46016 -3.31432
O 2.00398 -0.41068 -3.05691
C 2.61919 -0.99637 -4.16172
C 1.74880 -2.07074 -4.84141
O 1.44084 -3.10772 -3.94104
C 0.57873 -4.06528 -4.49146
H 1.23200 1.23165 -7.70207
H 1.08800 2.57755 -6.54772
H -0.37686 1.74129 -6.93047
H 0.29629 2.21604 -4.37797
H 2.05826 1.79939 -4.45086
H 0.11821 -0.31595 -3.49585
H 0.60463 1.08687 -2.46195
H 3.44733 -1.57141 -3.72279
H 3.18350 -0.35114 -4.84242
H 2.40251 -2.45581 -5.63646
H 0.83268 -1.63287 -5.23307
H 0.08714 -4.83021 -3.89165
H 1.11378 -4.56488 -5.30886
H -0.31852 -3.61501 -4.93985
C 0.51667 2.18610 3.90191
O -0.82081 1.79395 4.03922
C -1.38961 1.28588 2.84870
C -2.30130 0.07556 3.00002
O -3.53483 0.42571 3.61657
C -4.26837 -0.72064 3.98046
C -5.46240 -0.26412 4.79683
O -5.01720 -0.02426 6.12484
C -6.00479 0.33451 7.02680
H 0.86343 2.78881 4.74194
H 0.70515 2.88384 3.07187
H 1.19437 1.34922 3.70556
H -0.63505 1.04841 2.09753
H -1.96665 2.10171 2.40636
H -1.85945 -0.74649 3.57305
H -2.47020 -0.36474 2.01001
H -3.65895 -1.39040 4.59737
H -4.59043 -1.31144 3.11596
H -6.33867 -0.89961 4.63958
H -5.73229 0.72982 4.41916
H -6.66207 1.14697 6.66262
H -5.58146 0.87601 7.87532
H -6.69239 -0.46908 7.30891
```

Its max |F| is 0.115 Eh/bohr. For the HOMO energy, the calculation gives -4.792 eV. As for the total charge: -2. The value obtained for the LUMO energy is 3.75 eV. For the frontier orbital gap, the calculation gives 8.5429 eV.

=====

Record 3
Here is a molecular structure, C10H15ClN3 in a non-equilibrium geometry from OMol25. Energies are from ωB97M-V/def2-TZVPD.

```
29
C10H15ClN3, DFT ωB97M-V/def2-TZVPD
C -1.15938 -1.03429 2.33200
=====
Written answer.
C -6.00479 0.33451 7.02680
H 0.86343 2.78881 4.74194
H 0.70515 2.88384 3.07187
H 1.19437 1.34922 3.70556
H -0.63505 1.04841 2.09753
H -1.96665 2.10171 2.40636
H -1.85945 -0.74649 3.57305
H -2.47020 -0.36474 2.01001
H -3.65895 -1.39040 4.59737
H -4.59043 -1.31144 3.11596
H -6.33867 -0.89961 4.63958
H -5.73229 0.72982 4.41916
H -6.66207 1.14697 6.66262